2011 Not So Annual Anymore Boat Party and Race For The (coveted) Goulais Cup

[The entry is interrupted by records of crystals]
┌──
No. 1
This record from Materials Project describes crystalline Fe2Mo at its relaxed geometry. The functional is r²SCAN.

Results
The calculated volume comes out at 149.5 Å³/cell.

a = 4.6744 Å, b = 4.6743 Å, c = 7.9446 Å
α = 90.00°, β = 90.00°, γ = 120.53°
With the nearest neighbours (Å) after each atom.
Atoms (fractional coordinates):
Fe  0.8308  0.6586  0.7500  6 Fe 2.27-2.42
Fe  0.0000  0.0000  0.0000  6 Fe 2.42
Fe  0.0000  0.0000  0.5000  6 Fe 2.42
Mo  0.6647  0.3353  0.4318  12 Fe 2.73-2.86, 4 Mo 2.89-2.91
Mo  0.3353  0.6647  0.9319  12 Fe 2.73-2.86, 4 Mo 2.89-2.91
Fe  0.1704  0.8296  0.2500  6 Fe 2.28-2.42
Fe  0.3414  0.1692  0.7500  6 Fe 2.27-2.42
Fe  0.6587  0.8309  0.2500  6 Fe 2.27-2.42
Fe  0.1691  0.3413  0.2500  6 Fe 2.27-2.42
Mo  0.6647  0.3353  0.0682  12 Fe 2.73-2.86, 4 Mo 2.89-2.91
Mo  0.3353  0.6647  0.5681  12 Fe 2.73-2.86, 4 Mo 2.89-2.91
Fe  0.8296  0.1704  0.7500  6 Fe 2.28-2.42

No. 2
This record from Materials Project describes crystalline FeMoO4 at its relaxed geometry. The functional is r²SCAN.

Results
The calculated volume comes out at 319.0 Å³/cell.

a = 6.8968 Å, b = 6.8953 Å, c = 7.0755 Å
α = 76.87°, β = 77.10°, γ = 84.39°
With the nearest neighbours (Å) after each atom.
Atoms (fractional coordinates):
O  0.8847  0.1953  0.2011  1 Mo 1.81
O  0.7898  0.4973  0.8908  1 Mo 1.75
O  0.5188  0.2088  0.5355  1 Mo 1.74
O  0.8611  0.8614  0.5383  1 Mo 1.85
O  0.1429  0.1437  0.4540  1 Mo 1.86, 1 Fe 2.08
Mo  0.7522  0.2454  0.9994  4 O 1.74-1.83
O  0.1939  0.8852  0.2027  1 Mo 1.82
O  0.1138  0.8071  0.7974  1 Mo 1.83, 1 Fe 2.03
O  0.4983  0.7867  0.8963  1 Mo 1.75
Fe  0.2029  0.2027  0.1451  6 O 2.00-2.14
Mo  0.7353  0.7366  0.3975  4 O 1.75-1.85
O  0.7933  0.4812  0.4628  1 Mo 1.75
O  0.5011  0.2120  0.1041  1 Mo 1.74
Mo  0.2648  0.2645  0.6041  4 O 1.74-1.86
O  0.4804  0.7937  0.4651  1 Mo 1.75
O  0.2098  0.5009  0.1075  1 Mo 1.74
Fe  0.1843  0.8148  0.5018  6 O 1.99-2.22
O  0.2084  0.5189  0.5367  1 Mo 1.74
Fe  0.8146  0.1845  0.5002  6 O 1.99-2.21
Mo  0.2464  0.7519  0.0017  4 O 1.74-1.83
O  0.8074  0.8120  0.1362  1 Mo 1.77
O  0.1917  0.1896  0.8678  1 Mo 1.79
Fe  0.7972  0.7944  0.8569  6 O 2.01-2.15
O  0.8072  0.1114  0.7970  1 Mo 1.83, 1 Fe 2.04

No. 3
This record from Materials Project describes crystalline Fe2MoP12 at its relaxed geometry. The functional is r²SCAN.

Results
The calculated volume comes out at 862.4 Å³/cell.

a = 5.6706 Å, b = 11.0886 Å, c = 13.7153 Å
α = 90.00°, β = 90.00°, γ = 90.00°
With the nearest neighbours (Å) after each atom.
Atoms (fractional coordinates):
P  0.3805  0.7704  0.1893  1 Fe 2.15, 3 P 2.23-2.25
Fe  0.6036  0.0415  0.8495  6 P 2.15-2.25
P  0.0163  0.8043  0.8311  3 P 2.23-2.25, 1 Mo 2.48
P  0.5163  0.6957  0.3311  3 P 2.23-2.25, 1 Mo 2.48
Fe  0.3964  0.9585  0.1505  6 P 2.15-2.25
P  0.0316  0.4999  0.7976  2 Fe 2.21-2.24, 2 P 2.23-2.24
P  0.2655  0.5606  0.5918  2 P 2.24-2.26, 1 Fe 2.25
P  0.7536  0.3989  0.0080  1 Fe 2.23, 2 P 2.26
└──

19 03 2011

Arrrrrgh!  Me hearties one and all, ye be sure t’ avail yerself o’ the week’s end partakin’s.  They be 16 and 17 July an’ takin’ place on th’ shores o’ Goulais Bay.   Aye!  2031 Mission Road a’ bein’ hosted by Cap’ns Wayne an’ Jenni Madden.

There be a number o’ things ye’d be wantin’ knowin’ so pay me yer heed as I speak me mind regardin’ em:

  • If ye needs t’ be bunkin with us, ye needs t’ stake out yer hammock ‘r tent on 15 July upon th’ Friday evenin’.  Ye’d be best t’ bring yer tent, yer torches, ‘n’ yer booty t’ share as th’ Cap’ns Madden be presentin’ a barbecue on Saturday fer yer pleasure an’ from henceforth o’ th day, we’ll be sharin’ huntin’ spoils n treasures o’ the sea amongst us pirates as be fittin’ our generous pirate selves of which we are.  Scallywags not contributin’ loot n’ booty t’ the pot, well… ye be lookin’ at a long walk off a short plank, ya see, maytee, inta th’ throat o’ Davy Jones’ locker, ye see.

  • Ye’ll also be rememberin’ t’ make yer way t’ the LCBO or makin’ yer stop at th’ Duty Free Shop on th’ foreign shores o’ Michigan afore crossin’ o’er th’ sea t’ be snaggin’ yer grog n yer rum fer the week’s end.  Again, the Madden Crew bein’ th’ generous, sharin’ lot o’ pirates as whom we all are, shall be sharin’ their rum an’ grog but when it be gone, it be gone an’ if there are parched throats, it be a long, sober way t’ th’ LCBO t’ wet yer whistle, me lads n’ wenches.

  • An’ if ye plans t’ sail yer rig in th big regatta, ye needs to come out to the Madden’s vessel on Friday’s evenin’ to shove off and weigh anchor in th’ sea t’ be savin’ yer spot on the Race’s roster at the morrow.

  • All young scallywags bein’ under th’ age o’ 14 y’ars best be comin’ with a mum ‘r dad in tow ‘r ye too’ll be tossed in th’ scullery, swabbin’ th’ deck ‘r tied to th’ yardarm ‘r whatever suits the fancy o’ the Cap’n on duty at th’ time.   Of’course, if ye has th’ kind permission of the Madden Crew afore th’ week’s end, after checkin’ with yer mums an’ yer dads, then yer kindly welcome aboard.

  • An’ just ye be rememberin’ those heartees  who’ve turned in fer th’ night after a long sail an’ be keepin’ yer counsel ‘n holdin’ yer tongue from the witchin’ hours o’ that falls between midnight n’ 7:00 a.m.

  • Bein’ as we pirates ‘r  kind folk, respectin’ most o’ th’ laws o’ th’ land, ye must nay start a fire on any land which be other than th’ pit o’ fire upon the beach

  • And seein’ as the above statement declares us bein’ respectful o’ th’ law, there’ll nay be imbibin’ o’ th’ rum ‘r th’ grog upon settin’ sail in a vessel which remains unanchored in a manner which purports to go out t’ sea.

  • O’ course ye’ll be bringin’ yer instruments o’ musical persuasion t’ make merry ‘n’ raise a glass ‘r dance a jig upon th’ commencement o’ th’ day ‘r when th’ mood strikes yer soul.

  • Bathin’ trunks’ll be a necessary accoutrement ye’ll be needin’ in case ye happens not t’ be sure-footed on deck when alightin’ from a boat upon th’ shore ‘r vice versa an’ in th’ case o’ ye walkin’ th’ plank fer a misdeed, ye see.

  • If ye don’t be feelin’ a fancy t’ sail, ye can be bringin’ yer own manner o’ water vessel, such bein’ floaty toys, canoes, kayaks, rowboats, motor boats, r’ rubber dinghys.

  • Ye’ll be rememberin’ yer P.F.D.s along with yer vessels, yer bug spray fer all manner o’ bitin’ pests, ‘n’ yer sunscreen if ye is nay wantin’ t’ be kin o’ th’ sea lobster at days end.

Boat Party 2009 Dates

18 03 2009

Announcing the official dates for the 8th annual Boat Party and the 6th Race for the (coveted) Goulais Cup……

*drum roll please*

August 1st and 2nd 2009

Boat Party 2008

**Next to the piece, the page also holds materials data**
┌──
The following is a PBE calculation of a geometry-optimized Na2TaSi2SnPO12 structure, from the Materials Project database.

Structure (CIF):
```
data_Na2TaSi2SnPO12
_chemical_formula_sum 'Na12 Ta6 Si12 Sn6 P6 O72'
_space_group_name_H-M_alt 'P 1'
_space_group_IT_number 1
_cell_length_a 8.9364
_cell_length_b 8.9364
_cell_length_c 22.6820
_cell_angle_alpha 89.81
_cell_angle_beta 90.19
_cell_angle_gamma 119.83
loop_
_space_group_symop_operation_xyz
'x,y,z'
loop_
_atom_site_label
_atom_site_type_symbol
_atom_site_fract_x
_atom_site_fract_y
_atom_site_fract_z
_atom_site_occupancy
Na1 Na 0.9924 0.6292 0.2501 1
Na2 Na 0.3708 0.0076 0.7501 1
Na3 Na 0.6590 0.9626 0.5835 1
Na4 Na 0.0374 0.3410 0.0835 1
Na5 Na 0.3257 0.2959 0.9168 1
Na6 Na 0.7041 0.6743 0.4168 1
Na7 Na 0.0129 0.0020 0.4974 1
Na8 Na 0.9980 0.9871 0.9974 1
Na9 Na 0.6796 0.3353 0.8307 1
Na10 Na 0.6647 0.3204 0.3307 1
Na11 Na 0.3462 0.6687 0.1640 1
Na12 Na 0.3313 0.6538 0.6640 1
Ta1 Ta 0.0013 0.0004 0.6454 1
Ta2 Ta 0.9996 0.9987 0.1454 1
Ta3 Ta 0.6679 0.3338 0.9787 1
Ta4 Ta 0.6662 0.3321 0.4787 1
Ta5 Ta 0.3346 0.6671 0.3121 1
Ta6 Ta 0.3329 0.6654 0.8121 1
Si1 Si 0.7076 0.7094 0.2503 1
Si2 Si 0.9980 0.2881 0.2495 1
Si3 Si 0.2906 0.2924 0.7503 1
Si4 Si 0.7119 0.0020 0.7495 1
Si5 Si 0.3743 0.0427 0.5837 1
Si6 Si 0.6646 0.6214 0.5828 1
Si7 Si 0.9573 0.6257 0.0837 1
Si8 Si 0.3786 0.3354 0.0828 1
Si9 Si 0.0410 0.3761 0.9170 1
Si10 Si 0.3313 0.9547 0.9161 1
Si11 Si 0.6239 0.9590 0.4170 1
Si12 Si 0.0453 0.6687 0.4161 1
Sn1 Sn 0.9988 0.0017 0.3525 1
Sn2 Sn 0.9983 0.0012 0.8525 1
Sn3 Sn 0.6655 0.3350 0.6858 1
Sn4 Sn 0.6650 0.3345 0.1858 1
Sn5 Sn 0.3322 0.6683 0.0191 1
Sn6 Sn 0.3317 0.6678 0.5191 1
P1 P 0.2908 0.0039 0.2507 1
P2 P 0.9961 0.7092 0.7507 1
P3 P 0.9575 0.3373 0.5840 1
P4 P 0.6627 0.0425 0.0840 1
P5 P 0.6242 0.6706 0.9173 1
P6 P 0.3294 0.3758 0.4173 1
O1 O 0.2126 0.0322 0.3058 1
O2 O 0.8274 0.7842 0.3090 1
O3 O 0.9698 0.1748 0.3075 1
O4 O 0.2158 0.1726 0.8090 1
O5 O 0.9678 0.7874 0.8058 1
O6 O 0.8252 0.0302 0.8075 1
O7 O 0.8004 0.9712 0.6901 1
O8 O 0.1639 0.1907 0.6936 1
O9 O 0.0292 0.8295 0.6957 1
O10 O 0.8093 0.8361 0.1936 1
O11 O 0.0288 0.1996 0.1901 1
O12 O 0.1705 0.9708 0.1957 1
O13 O 0.8793 0.3655 0.6392 1
O14 O 0.4940 0.1175 0.6423 1
O15 O 0.6364 0.5082 0.6408 1
O16 O 0.8825 0.5060 0.1423 1
O17 O 0.6345 0.1207 0.1392 1
O18 O 0.4918 0.3636 0.1408 1
O19 O 0.4671 0.3045 0.0235 1
O20 O 0.8305 0.5240 0.0269 1
O21 O 0.6959 0.1628 0.0291 1
O22 O 0.4760 0.1695 0.5269 1
O23 O 0.6955 0.5329 0.5235 1
O24 O 0.8372 0.3041 0.5291 1
O25 O 0.5459 0.6988 0.9725 1
O26 O 0.1607 0.4508 0.9757 1
O27 O 0.3031 0.8415 0.9741 1
O28 O 0.5492 0.8393 0.4757 1
O29 O 0.3012 0.4541 0.4725 1
O30 O 0.1585 0.6969 0.4741 1
O31 O 0.1337 0.6378 0.3568 1
O32 O 0.4972 0.8574 0.3602 1
O33 O 0.3626 0.4961 0.3624 1
O34 O 0.1426 0.5028 0.8602 1
O35 O 0.3622 0.8663 0.8568 1
O36 O 0.5039 0.6374 0.8624 1
O37 O 0.0180 0.8358 0.4110 1
O38 O 0.8128 0.9750 0.4114 1
O39 O 0.1764 0.1943 0.4101 1
O40 O 0.0250 0.1872 0.9114 1
└──

14 02 2008
The 2008 Annual Boat Party and (coveted) Goulais Cup All-Sail Regattta 
August 2nd & 3rd 2008
Please Mark Your Calendars!


1 03 2007
  July 14th and 15th 2007 
 6th Annual Boat Party 
 5th Goulais Cup All-Sail Reggata!!

WINNER of Race 2006

22 07 2006
2006 (coveted) Goulais Cup Winner 
Reggae, skipper – Paul, crew – Ellen H.

 Second Runner-Up

AnnChovy, skipper Rachel, crew – Ryan & Sean O

Third Runner-Up
Felix the Cat(amaran), skipperYooJay, crew Jesus


22 07 2006
The Goulais Cup Racing Association gratefully acknowledges the outstanding performance by Men w/ Rugged Good Looks (rockin’ your mom since 2006), the award-winning band from Sault Sainte Marie Michigan. 
Earlier this year, MW/RGL captured FIRST PLACE in the SAHS Talent Show, only to go on to perform a roof-top, impromptu concert at a local establishment, The Antler’s, in Soo, Michigan.  Fronted by rhythm guitarist/lead singer/keyboard player, Ryan Gleason, the band has now travelled internationally to play some of their own music as well as some pretty darn good copies of tunes by U2, Coldplay and Foo Fighters, to name but a few.  The band’s lead guitarist , Davey G.,  pretty well stole the spotlight as he excecuted a well-rehearsed, hilarious striptease in his new little colorful, leopard-print board shorts given to him the day before by a couple of rilly silly fans.  Drummer Dennis Farney, wearing a tight pink shirt grabbed the mic, and dominated the stage during his performance of the band’s original song, "Tight Pink Shirt" (duh)  Not to be outdone, basisst, Mark Farney contributed his own brand of humor and chutzpah to the evening by his rendition of "Those Magic Moments".   As well, the band was joined unexpectedly by the ever-popular Sean, (O’Malley) the founding- (and only) member of his own band, 3-Door Garage.   Eljay, the bass player from The MaddOnes, also contributed to the evening and afternoon of fine rock -n- roll.


20 07 2006
July 15th & 16th 2006
"If you’re burned to a crisp, totally exhausted, every muscle & bone in your body is sore and you can say, ‘Let’s do it again next year’, Boat Party Weekend was a success!"

Vessels & Crew Members – 8 Vessels Registered

20 07 2006
Eight Vessels Registered 
Ghetto Child – Stephen, skipper & Frank (-the-tank), crew
Ann Chovy – Rachel, skipper & Ryan, Sean, crew
Felix the Cat(amaran) – John (yooJay), skipper & Jesus, crew
Grosvenor’s Grond – Jenn P., skipper & Sarah ,crew
Black Pearl (windsurfer) – Alien Mutant (YooJer), skipper & Davey Jones, crew
Richard & the Hail Marys – Richard M., skipper & Mary Mc, Theresa M., crew
Where’s the Wind? (windsurfer) – Carl, skipper & Jesus, crew
Reggae – Paul I., skipper & Ellen H., crew

The (coveted) Goulais Cup Sailboat Regatta On-The-Fly Handicapping System and Race Rules ADDENDUM

16 11 2005

(or the (C.)G.C.S.R.O.-T.-F.H.S.R.R.A.)

(or even shorter : CGCSROTFHSRRA)

(littler, lighter, shorter and a different color:  CGCSROTFHSRRA)

(invisible:               )

Overview: The Goulais Cup Sailboat Race is both grand in scope and history, yet inherently quaint and silly due to several factors too numerous to mention, yet among them let us mention anyway the stupendous average lack of propriety and punctuality and the unabated tendency towards Flouting the Rules as expendience necessitates. Despite the fact that chaos reigns and we like it that way, we do recognize that the race field consists of many and various classes of vessels and craft, each with it’s inherent abilities and disabilities. And though, in past years, always interesting for the leading boat, often several nautical miles in advance of stragglers, betimes the crew of the last-most boat suffered from a shared ennui as it gently thudded into the dock, well after midnight, a time when all others, ashore and afloat had long since sought their berths or bunks or the party at a camp down the road. Painful repetition of this syndrome incontrovertably evidenced the need for a system of handicapping. Let us be clear however, that our motivation for pursuing a handicapping system is not so much in pursuit of “fairness” or expectation of a “level playing field,” but it lies instead in a desire for entertainment of both the participants and the spectators. For a close race is an interesting race and the increased competition inspires the boat crews to greater heights of seamanship and deeper depths of rules-flouting. Huzzah!

And so the Rules Committee, (or R.C.) being made up as it is of Far-Seeing, Dedicated, Intelligent, Good Looking, Sail-Racing Poohbahs (or F.S.D.I.G.L.S.R.P’s.) looked upon this and decided, after 4 (four) years of lopsided outcomes, that it was Good, but Not Good Enough. Something had to be done. So, meetings were held. Focus groups were formed. Beer was drunk. Consortiums consorted. Conferences were conferred. More beer was drunk. And finally it was decided that a stupidly simple idea was needed. It being foolproof was considered the top priority considering the presence of so many fools, many of them tipsy fools, many of those in tipsy boats. The result was the present day Coveted Goulais Cup Sailboat Regatta On-The-Fly Handicapping System and Race Rules Addendum, or CGCSROTFHSRRA for short. In the 2005 Regatta it was considered a resounding success by those few present and sober enough to notice, and the CGCSROTFHSRRA has now been adopted by the Rules Committee (or R.C.) as their favorite-idea-lately-until-somebody-comes-up-with-something-better. A non-scientific study was done in 2005 to assess the effects of these rules changes on the race and the results were surprising and far-reaching:

  1. A  2% lessening of confusion amongst contestants was noted
  2. Attention to the race amongs spectators increased a whopping 4 1/2 %
  3. Man-overboard incidents dropped by 75%
  4. Hospitality Boat / Racing Boat collisions dropped 60%
  5. Everyone became 10% younger, wealthier, and better-looking

And let us not forget an observation made by a comparatively sober observer as the confetti settled after the 2005 race: A phenomenon had occurred unexpectedly: A different boat had “won” each of the first two laps and yet another different boat had won the final race-winning lap! How grand! And so, comes the necessity of creating the title of “Lap Winner” and bestowing it accordingly to those who managed to screw up the least on that leg of the race and thus deserve that honor. (see the 2005 race account for that information*) So, for your edification and confusion, here is the CGCSROTFHSRRA.  It has two parts:

  1. The Description of the Race Course
  2. The Description of the Handicapping System.

Description of the Race Course: The course is roughly an equilateral triangle with its three buoy points designated and marked by the buoys Melchior(A), Balthezar (B) and Caspar (C). One leg of the triangle lies parallel to the shore and this leg is intersected at its midpoint and marked by the buoy Naomi Camel. An imaginary line extending from the Dock to this buoy marks both the starting and finishing lines. Upon the firing of the illegal bottle rocket, vessels start en masse at the starting line and sail around the triangular course clockwise (or counter-clockwise, depending on the wind direction) a total of three laps (or perhaps more depending on the wind strength). The vessel first to cross the finish line after completion of the 3 (three) laps under the constraints of the Handicapping System (H.S.) shall be deemed the Race winner. The vessel to cross the finish line first during each of the first two laps shall be deemed a lap winner.


Description of the Handicapping System:  The Race shall be run with an inherent Handicapping System as follows: 

  1. Each vessel, after rounding any given buoy of the course may proceed to the next buoy but shall not round it until the last-most vessel has rounded the previous buoy. 
  2. The above rule applies universally during the entire course of the race with one exception: On the last lap of the race, each vessel, after rounding the first and second buoys according to the Handicapping System, may then immediately proceed to, and round the third corner buoy and thence proceed to sail on to the finish line without handicap.
  3. Due to the inherent nature of sailing – the sometimes convoluted maneuvers required in sailing upwind, etc. it is necessary to define “rounding a buoy” and it will be defined thus: A vessel shall be considered as having “rounded a buoy” if it passes within 10 (ten) feet of it, it mattering not in which direction that vessel is then proceeding. NOTE: This special Addendum to the (coveted) Goulais Cup Race Rules is fundamentally different than the normal race rules because it exists purely to enhance the enjoyment of the race by one and all. And since “enjoyment” is the highest calling and yay, even our very reason for existence as a party, the flouting (shudder) of these rules cannot, must not happen!  We won’t even talk about what will happen to flouters. You just don’t want to be one. Believe it.

* The R.C., made up solely of the F.S.D.I.G.L.S.R.P.’s needs to convene one more time in order to clear up the mattter, once and for all, who the Lap Winners were of Race 2005 and which lap it was that they won.  It was revealed at the last meeting in late August that The ‘Blonde Boat’ made a magnificent showing as the winners of Lap Two (2) much to the embarassment of the other contenders thus proving that they could indeed handle a rudder, tiller, sails and cans of silly string while beating out their darker-haired contenders!   So stay tuned to this Website!



7 11 2005

The Goulais Racing Association

Articles of the Goulais Cup All-Sail Regatta


The Regatta, herein known by the various terms Regatta, Contest , Competition or Race- Thingy, shall be held annually at the Mad(den) House on Goulais Bay, during the Annual Boat Party, in the Province of Ontario, in the Dominion of Canada in the Western Hemisphere of the Planet Earth. The contest shall be held on the weekend prior to St. Swithin’s Day (15 July) unless the schedule (or lack thereof) of the Mad(den) House shall determine otherwise.


Any object that floats, the sole motive power of which is the natural air currents caused by the action of the heat of the Sun upon the Atmosphere of the Earth, and the function of which requires at least one member of the species Homo Sapiens on board (encased in an approved Pfd), hereafter known as the Skipper, the Man, the Old Man, the Boss, the Big Cheese or the Master, is eligible to compete and shall be hereafter known as the Vessel.. It shall be unlawful to employ artificially devised motor power of any sort whatsoever.


The Crew may be of any such number and combination of men, women, children, dogs, gnus, hamsters, chickens, cattle, moths, ferrets, African Sparrows and/or cats as it may please the Skipper to appoint. All must be wearing Coast Guard approved Pfd’s. Said crew shall remain on board the Vessel at all times after the starting gun, (bell, air horn, fart, whistle, shout, Bronx Cheer, loud noise, etc.) unless they should happen to fall off.


As determined by the Goulais Cup Racing Association, Handicap Trials have been jettisoned  ………SEE ADDENDUM!!



The Course shall be laid out to a plan determined by consensus of competitors, marked by Orange Buoys (the course, that is, not the competitors) or Large Plastic Statues of Camels and/or The Three Wise Men, affixed with flourescent orange bicycle flags.  Monitors, hereafter to be known as The Official Buoy Monitors (when available) shall be appointed to stand watch at each buoy to see that Buoys are duly rounded by competing Vessels.


1] The Vessels shall start by the pre-determined order determined by the Association.
2] All Vessels shall start from a dead stop with sails bent on but not raised.
3] Each Vessel shall raise sail on its starting gun (kazoo, alpenhorn, fart, tissue paper and comb, etc.)
4] All Vessels shall round each buoy on the course to the satisfaction of The Official Buoy Monitors (if available) and in compliance with the 2006 Course Rules Addendum which will be thoroughly explained prior to the Race because we really don’t know what they are yet, but they have a lot to do with sailing as fast as possible and behaving nicely.
5] The Skipper and all Crew Members MUST finish the Race unless it becomes clear to all that they are so miserably far behind that in order to round all buoys, they would be absent for the remaining days of the Boat Party. (See 9 below)
6] ACTS OF PIRACY (including but not limited to intentional ramming, boarding and broadsides from potato guns) shall result in responsible Skipper(s) being keelhauled around the fleet of competing Vessels; each member of the Crew subjected to twenty (20) lashes with a wet Angora Cat.
7] ACTS OF SABOTAGE (including but not limited to sandbagging, clandestine opening of scuppers, and smearing of poodle offal on tiller handles) shall result in the offending Skipper(s) and Crew member(s) being stranded for seven and one half (7 ½) days on Iroquois Island with naught but a BB Gun and a roll of duct tape.
8] ACTS OF DECEPTION OR SUBTERFUGE (including but not limited to the use of (shudder) paddles, other than for maneuvering at the starting line, the employment of assorted indigenous nieces and nephews and/or their friends grasping the stern and kicking, the use of artificial means – mechanical or biological – of providing wind and affixing the prow of the Vessel to the dorsal fin of a Very Large Lake Sturgeon) shall result in the offending Skipper and Crew, hereafter to be known as The Bad People, being compelled to submit to a two (2)-minute shower bath of bilge water from the Valley Camp to the accompaniment of Rap music each hour of every day until sunset of St. Swithin’s Day. The penalty to be imposed upon The Official Buoy Monitor who leads a Vessel astray by taking up a false position near a buoy that does not exist, is so ghastly and horrific that mere words cannot describe it nor mere ink and paper convey it.
9] ACTS OF DESPAIR AND/OR APATHY (including but not limited to pooping out and abandoning the Contest upon witnessing the victory of a competing Vessel other than one’s own or scuttling one’s own Vessel with a view to thereby escape the insupportable shame and humiliation of defeat) shall result in The Bad People, upon their return, (if any), being roundly Bronx Cheered by the entire assemblage of competitors, spectators and Boat Party Crashers.
10] Water Guns, Super Soakers and other Water Cannon (with the exception of water balloons and other environmentally unsafe objects…LIKE "SILLY STRING",  RACHEL!!!!!!) shall be considered permissible answer and greeting for any craft in the process of passing another. The act of ‘mooning’ shall only be allowed if one’s backside is presented to a competing Vessel well-offshore of any onlookers who could possibly be offended and thereby identify said ‘mooner’ in a police line-up upon accusation.
11] Should a competing Vessel founder, explode, sink, break up, disintigrate or otherwise experience shipwreck, said Vessel shall be declared disqualified and the Race shall be suspended until Skipper and Crew have been retrieved.
12] That Vessel shall be considered the Winner whose prow first crosses the Finish Line, having complied with all the other stuff above.
13] In a Timely Manner, within a Ceremony performed by the Maddens and/or their Designated Appointee(s), the Winner shall be duly awarded the (coveted) Goulais Cup to display in the privacy of their own home until the next Regatta.